____________
1.
Ti9O10 | GGA-PBE | relaxed

Unit cell a=5.1292 b=5.1292 c=9.9224 alpha=95.78 beta=95.78 gamma=121.10
Closest atoms and distances in Å follow each position.
Atoms (fractional coordinates):
Ti (0.0000, 0.0000, 0.0000)  6 O 2.09-2.16
Ti (0.1033, 0.4407, 0.2572)  5 O 1.96-2.14
Ti (0.1632, 0.8368, 0.5000)  4 O 2.00-2.11
Ti (0.3518, 0.6482, 0.0000)  6 O 2.06-2.15
Ti (0.4407, 0.1033, 0.2572)  5 O 1.96-2.14
Ti (0.5593, 0.8967, 0.7428)  5 O 1.96-2.14
Ti (0.6482, 0.3518, 0.0000)  6 O 2.06-2.15
Ti (0.8368, 0.1632, 0.5000)  4 O 2.00-2.11
Ti (0.8967, 0.5593, 0.7428)  5 O 1.96-2.14
O (0.0574, 0.7133, 0.1197)  5 Ti 2.07-2.15
O (0.1971, 0.5391, 0.6232)  4 Ti 1.96-2.11
O (0.2867, 0.9426, 0.8803)  5 Ti 2.07-2.15
O (0.3925, 0.3925, 0.1379)  5 Ti 2.06-2.16
O (0.4609, 0.8029, 0.3768)  4 Ti 1.96-2.11
O (0.5391, 0.1971, 0.6232)  4 Ti 1.96-2.11
O (0.6075, 0.6075, 0.8621)  5 Ti 2.06-2.16
O (0.7133, 0.0574, 0.1197)  5 Ti 2.07-2.15
O (0.8029, 0.4609, 0.3768)  4 Ti 1.96-2.11
O (0.9426, 0.2867, 0.8803)  5 Ti 2.07-2.15

Output
MP2020-corrected energy in eV for the cell shown: -173.1
M_tot in μB/f.u.: 0.61
Total DFT energy (no corrections) in eV/cell: -166.2
Space group: C2/m
Polymorph energy (0 for the lowest one) in meV/atom: 48.3
Energy of formation in eV per atom: -2.7674

***

2.
Ti2O | GGA-PBE | relaxed

Unit cell a=11.0032 b=11.2795 c=11.3825 alpha=88.86 beta=89.37 gamma=83.85
Closest atoms and distances in Å follow each position.
Atoms (fractional coordinates):
Ti (0.0000, 0.0000, 0.0000)  3 O 2.05-2.19
Ti (0.9996, 0.1545, 0.2355)  1 O 2.02
Ti (0.0079, 0.4152, 0.2529)  2 O 1.95-2.00
Ti (0.0238, 0.9697, 0.4232)  2 O 1.91-1.99
Ti (0.0491, 0.7505, 0.5340)  2 O 2.02-2.13
Ti (0.0548, 0.0446, 0.7277)  4 O 2.13-2.28
Ti (0.0732, 0.4897, 0.4911)  3 O 1.96-2.11
Ti (0.0840, 0.4458, 0.9098)  1 O 2.11
Ti (0.0911, 0.2055, 0.5184)  3 O 2.03-2.11
Ti (0.0962, 0.6347, 0.7845)  1 O 1.95
Ti (0.0974, 0.7826, 0.2619)  3 O 2.01-2.10
Ti (0.1241, 0.2148, 0.0467)  2 O 2.09
Ti (0.1290, 0.7589, 0.9934)  3 O 1.97-2.20
Ti (0.1432, 0.2394, 0.7875)  2 O 1.96-1.99
Ti (0.2078, 0.4842, 0.1005)  1 O 2.01
Ti (0.2133, 0.5578, 0.3189)  1 O 2.01
Ti (0.2433, 0.2836, 0.2753)  2 O 1.97-2.12
Ti (0.2486, 0.8096, 0.7910)  2 O 2.01-2.12
Ti (0.2539, 0.0412, 0.9126)  3 O 2.06-2.27
Ti (0.2591, 0.8824, 0.5581)  2 O 2.04-2.05
Ti (0.2638, 0.4328, 0.7050)  3 O 2.03-2.14
Ti (0.2782, 0.9996, 0.1563)  3 O 1.92-2.06
Ti (0.2921, 0.6257, 0.5750)  3 O 2.03-2.08
Ti (0.3100, 0.1346, 0.6130)  3 O 2.05-2.11
Ti (0.3146, 0.3784, 0.4769)  2 O 2.09-2.17
Ti (0.3296, 0.2854, 0.9345)  2 O 2.00-2.16
Ti (0.3354, 0.7846, 0.3498)  3 O 1.87-2.09
Ti (0.3369, 0.5823, 0.8859)  2 O 2.05-2.23
Ti (0.3451, 0.6814, 0.1303)  2 O 2.00-2.09
Ti (0.4219, 0.0887, 0.3937)  2 O 2.00-2.08
Ti (0.4342, 0.9608, 0.7500)  2 O 2.17-2.18
Ti (0.4510, 0.4623, 0.0743)  1 O 2.04
Ti (0.4657, 0.8125, 0.9495)  1 O 1.98
Ti (0.4878, 0.4857, 0.3132)  2 O 1.98-2.07
Ti (0.4922, 0.2046, 0.7445)  3 O 1.98-2.04
Ti (0.5003, 0.2392, 0.1914)  2 O 2.02-2.06
Ti (0.5231, 0.6730, 0.7294)  2 O 2.03-2.13
Ti (0.5296, 0.4305, 0.6210)  2 O 2.01-2.13
Ti (0.5419, 0.8370, 0.5424)  3 O 1.93-2.08
Ti (0.5465, 0.0361, 0.9785)  2 O 1.95-2.06
Ti (0.5506, 0.9406, 0.2160)  4 O 2.02-2.23
Ti (0.5594, 0.2785, 0.4376)  2 O 1.98-2.08
Ti (0.6109, 0.6021, 0.9427)  1 O 2.18
Ti (0.6138, 0.0635, 0.5656)  3 O 2.15-2.19
Ti (0.6432, 0.6652, 0.3776)  2 O 1.88-1.98
Ti (0.6469, 0.3333, 0.9635)  2 O 1.89-1.98
Ti (0.6630, 0.8502, 0.7846)  2 O 2.13-2.15
Ti (0.6870, 0.0995, 0.3200)  2 O 2.08-2.27
Ti (0.7120, 0.6137, 0.1531)  2 O 2.11-2.12
Ti (0.7196, 0.3509, 0.2268)  2 O 2.00
Ti (0.7373, 0.4781, 0.7567)  3 O 2.01-2.08
Ti (0.7367, 0.8394, 0.0536)  1 O 2.30
Ti (0.7604, 0.8525, 0.3614)  2 O 2.12-2.17
Ti (0.7667, 0.4506, 0.4893)  4 O 2.06-2.23
Ti (0.7725, 0.1395, 0.0852)  1 O 2.06
Ti (0.7749, 0.2439, 0.6604)  4 O 1.97-1.99
Ti (0.7799, 0.6975, 0.5833)  3 O 2.00-2.22
Ti (0.7889, 0.0162, 0.8717)  1 O 2.00
Ti (0.8451, 0.6520, 0.9066)  1 O 2.04
Ti (0.8524, 0.9716, 0.6197)  2 O 2.01-2.05
____________
Print the material further up from the line with "0.2753)" to the end word for word.
Ti (0.2433, 0.2836, 0.2753)  2 O 1.97-2.12
Ti (0.2486, 0.8096, 0.7910)  2 O 2.01-2.12
Ti (0.2539, 0.0412, 0.9126)  3 O 2.06-2.27
Ti (0.2591, 0.8824, 0.5581)  2 O 2.04-2.05
Ti (0.2638, 0.4328, 0.7050)  3 O 2.03-2.14
Ti (0.2782, 0.9996, 0.1563)  3 O 1.92-2.06
Ti (0.2921, 0.6257, 0.5750)  3 O 2.03-2.08
Ti (0.3100, 0.1346, 0.6130)  3 O 2.05-2.11
Ti (0.3146, 0.3784, 0.4769)  2 O 2.09-2.17
Ti (0.3296, 0.2854, 0.9345)  2 O 2.00-2.16
Ti (0.3354, 0.7846, 0.3498)  3 O 1.87-2.09
Ti (0.3369, 0.5823, 0.8859)  2 O 2.05-2.23
Ti (0.3451, 0.6814, 0.1303)  2 O 2.00-2.09
Ti (0.4219, 0.0887, 0.3937)  2 O 2.00-2.08
Ti (0.4342, 0.9608, 0.7500)  2 O 2.17-2.18
Ti (0.4510, 0.4623, 0.0743)  1 O 2.04
Ti (0.4657, 0.8125, 0.9495)  1 O 1.98
Ti (0.4878, 0.4857, 0.3132)  2 O 1.98-2.07
Ti (0.4922, 0.2046, 0.7445)  3 O 1.98-2.04
Ti (0.5003, 0.2392, 0.1914)  2 O 2.02-2.06
Ti (0.5231, 0.6730, 0.7294)  2 O 2.03-2.13
Ti (0.5296, 0.4305, 0.6210)  2 O 2.01-2.13
Ti (0.5419, 0.8370, 0.5424)  3 O 1.93-2.08
Ti (0.5465, 0.0361, 0.9785)  2 O 1.95-2.06
Ti (0.5506, 0.9406, 0.2160)  4 O 2.02-2.23
Ti (0.5594, 0.2785, 0.4376)  2 O 1.98-2.08
Ti (0.6109, 0.6021, 0.9427)  1 O 2.18
Ti (0.6138, 0.0635, 0.5656)  3 O 2.15-2.19
Ti (0.6432, 0.6652, 0.3776)  2 O 1.88-1.98
Ti (0.6469, 0.3333, 0.9635)  2 O 1.89-1.98
Ti (0.6630, 0.8502, 0.7846)  2 O 2.13-2.15
Ti (0.6870, 0.0995, 0.3200)  2 O 2.08-2.27
Ti (0.7120, 0.6137, 0.1531)  2 O 2.11-2.12
Ti (0.7196, 0.3509, 0.2268)  2 O 2.00
Ti (0.7373, 0.4781, 0.7567)  3 O 2.01-2.08
Ti (0.7367, 0.8394, 0.0536)  1 O 2.30
Ti (0.7604, 0.8525, 0.3614)  2 O 2.12-2.17
Ti (0.7667, 0.4506, 0.4893)  4 O 2.06-2.23
Ti (0.7725, 0.1395, 0.0852)  1 O 2.06
Ti (0.7749, 0.2439, 0.6604)  4 O 1.97-1.99
Ti (0.7799, 0.6975, 0.5833)  3 O 2.00-2.22
Ti (0.7889, 0.0162, 0.8717)  1 O 2.00
Ti (0.8451, 0.6520, 0.9066)  1 O 2.04
Ti (0.8524, 0.9716, 0.6197)  2 O 2.01-2.05